Data:
<<<
[1]
The following is a computed XRD peak list of LiLuPdAu. It was derived from a cell relaxed with GGA-PBE, using CuKα.
Neutral-atom scattering factors, no anomalous dispersion.

Structure:
a b c (Å): 4.4107 4.4107 8.9303
angles (deg): 90.00 90.00 120.00
Positions (direct):
Li: 0.0000 0.0000 0.0000
Li: 0.0000 0.0000 0.5000
Lu: 0.3333 0.6667 0.2560
Lu: 0.6667 0.3333 0.7560
Pd: 0.3333 0.6667 0.9140
Pd: 0.6667 0.3333 0.4140
Au: 0.3333 0.6667 0.5887
Au: 0.6667 0.3333 0.0887

Principal peaks in the range 10 to 80 degrees two-theta, in order of rising 2θ:
Position (°2θ)  d_spacing  I_rel
23.29  3.820  58
25.36  3.512  8
38.34  2.348  100
40.92  2.205  57
47.61  1.910  9
57.32  1.607  31
64.55  1.444  7
72.81  1.299  31
74.53  1.273  10
77.35  1.234  17



[2]
The following is a computed XRD peak list of Li2Lu2Pd3Au. It was derived from a cell relaxed with GGA-PBE, using CuKα.
Neutral-atom scattering factors, no anomalous dispersion.

Structure:
a b c (Å): 4.3822 4.3822 8.8177
angles (deg): 90.00 90.00 120.00
Positions (direct):
Li: 0.0000 0.0000 0.0000
Li: 0.0000 0.0000 0.4920
Lu: 0.3333 0.6667 0.2443
Lu: 0.6667 0.3333 0.7551
Pd: 0.3333 0.6667 0.9115
Pd: 0.6667 0.3333 0.0857
Pd: 0.6667 0.3333 0.4090
Au: 0.3333 0.6667 0.5840

Principal peaks in the range 10 to 80 degrees two-theta, in order of rising 2θ:
Position (°2θ)  d_spacing  I_rel
23.44  3.795  61
38.75  2.324  100
41.20  2.191  58
47.94  1.898  9
57.84  1.594  31
65.02  1.434  7
68.46  1.370  7
73.46  1.289  31
75.09  1.265  10
78.34  1.221  16



[3]
The following is a computed XRD peak list of Li4Mg2PdAu. It was derived from a cell relaxed with GGA-PBE, using CuKα.
Neutral-atom scattering factors, no anomalous dispersion.

Structure:
a b c (Å): 4.4838 4.4838 6.3731
angles (deg): 90.00 90.00 90.00
Positions (direct):
Li: 0.0000 0.0000 0.0000
Li: 0.0000 0.5000 0.2468
Li: 0.5000 0.0000 0.7532
Li: 0.5000 0.5000 0.5000
Mg: 0.0000 0.5000 0.7595
Mg: 0.5000 0.0000 0.2405
Pd: 0.5000 0.5000 0.0000
Au: 0.0000 0.0000 0.5000

Principal peaks in the range 10 to 80 degrees two-theta, in order of rising 2θ:
Position (°2θ)  d_spacing  I_rel
24.27  3.667  100
28.00  3.187  13
28.15  3.171  25
40.12  2.248  43
40.23  2.242  21
47.35  1.920  17
47.54  1.913  33
49.73  1.834  11
63.83  1.458  14
73.04  1.295  15



[4]
The following is a computed XRD peak list of Li2Mg2Tl2PtAu. It was derived from a cell relaxed with GGA-PBE, using CuKα.
Neutral-atom scattering factors, no anomalous dispersion.

Structure:
a b c (Å): 4.6946 4.6946 6.6816
angles (deg): 90.00 90.00 90.00
Positions (direct):
Li: 0.0000 0.0000 0.0000
Li: 0.5000 0.5000 0.5000
Mg: 0.0000 0.5000 0.2418
Mg: 0.5000 0.0000 0.7582
Tl: 0.0000 0.5000 0.7587
Tl: 0.5000 0.0000 0.2413
Pt: 0.5000 0.5000 0.0000
Au: 0.0000 0.0000 0.5000

Principal peaks in the range 10 to 80 degrees two-theta, in order of rising 2θ:
Position (°2θ)  d_spacing  I_rel
23.16  3.841  100
38.22  2.355  76
38.35  2.347  38
45.05  2.012  18
45.27  2.003  35
55.35  1.660  13
60.61  1.528  15
69.01  1.361  13
69.26  1.357  27
74.20  1.278  8



[5]
The following is a computed XRD peak list of LiMg2ZnAu4. It was derived from a cell relaxed with GGA-PBE, using CuKα.
Neutral-atom scattering factors, no anomalous dispersion.

Structure:
a b c (Å): 4.5674 4.5674 6.4530
angles (deg): 90.00 90.00 90.00
Positions (direct):
Li: 0.0000 0.0000 0.0000
Mg: 0.0000 0.0000 0.5000
Mg: 0.5000 0.5000 0.0000
Zn: 0.5000 0.5000 0.5000
Au: 0.0000 0.5000 0.2493
Au: 0.0000 0.5000 0.7507
Au: 0.5000 0.0000 0.2493
Au: 0.5000 0.0000 0.7507

Principal peaks in the range 10 to 80 degrees two-theta, in order of rising 2θ:
Position (°2θ)  d_spacing  I_rel
13.72  6.453  1
19.43  4.567  1
27.63  3.229  65
30.96  2.888  1
34.02  2.635  1
39.47  2.283  100
48.86  1.864  19
57.05  1.614  17
64.54  1.444  26
71.59  1.318  35



[6]
The following is a computed XRD peak list of LiNbAuSe2S. It was derived from a cell relaxed with GGA-PBE, using CuKα.
Neutral-atom scattering factors, no anomalous dispersion.
>>>
Job:
Next, transcribe everything further up verbatim.
Worked solution:
[1]
The following is a computed XRD peak list of LiLuPdAu. It was derived from a cell relaxed with GGA-PBE, using CuKα.
Neutral-atom scattering factors, no anomalous dispersion.

Structure:
a b c (Å): 4.4107 4.4107 8.9303
angles (deg): 90.00 90.00 120.00
Positions (direct):
Li: 0.0000 0.0000 0.0000
Li: 0.0000 0.0000 0.5000
Lu: 0.3333 0.6667 0.2560
Lu: 0.6667 0.3333 0.7560
Pd: 0.3333 0.6667 0.9140
Pd: 0.6667 0.3333 0.4140
Au: 0.3333 0.6667 0.5887
Au: 0.6667 0.3333 0.0887

Principal peaks in the range 10 to 80 degrees two-theta, in order of rising 2θ:
Position (°2θ)  d_spacing  I_rel
23.29  3.820  58
25.36  3.512  8
38.34  2.348  100
40.92  2.205  57
47.61  1.910  9
57.32  1.607  31
64.55  1.444  7
72.81  1.299  31
74.53  1.273  10
77.35  1.234  17



[2]
The following is a computed XRD peak list of Li2Lu2Pd3Au. It was derived from a cell relaxed with GGA-PBE, using CuKα.
Neutral-atom scattering factors, no anomalous dispersion.

Structure:
a b c (Å): 4.3822 4.3822 8.8177
angles (deg): 90.00 90.00 120.00
Positions (direct):
Li: 0.0000 0.0000 0.0000
Li: 0.0000 0.0000 0.4920
Lu: 0.3333 0.6667 0.2443
Lu: 0.6667 0.3333 0.7551
Pd: 0.3333 0.6667 0.9115
Pd: 0.6667 0.3333 0.0857
Pd: 0.6667 0.3333 0.4090
Au: 0.3333 0.6667 0.5840

Principal peaks in the range 10 to 80 degrees two-theta, in order of rising 2θ:
Position (°2θ)  d_spacing  I_rel
23.44  3.795  61
38.75  2.324  100
41.20  2.191  58
47.94  1.898  9
57.84  1.594  31
65.02  1.434  7
68.46  1.370  7
73.46  1.289  31
75.09  1.265  10
78.34  1.221  16



[3]
The following is a computed XRD peak list of Li4Mg2PdAu. It was derived from a cell relaxed with GGA-PBE, using CuKα.
Neutral-atom scattering factors, no anomalous dispersion.

Structure:
a b c (Å): 4.4838 4.4838 6.3731
angles (deg): 90.00 90.00 90.00
Positions (direct):
Li: 0.0000 0.0000 0.0000
Li: 0.0000 0.5000 0.2468
Li: 0.5000 0.0000 0.7532
Li: 0.5000 0.5000 0.5000
Mg: 0.0000 0.5000 0.7595
Mg: 0.5000 0.0000 0.2405
Pd: 0.5000 0.5000 0.0000
Au: 0.0000 0.0000 0.5000

Principal peaks in the range 10 to 80 degrees two-theta, in order of rising 2θ:
Position (°2θ)  d_spacing  I_rel
24.27  3.667  100
28.00  3.187  13
28.15  3.171  25
40.12  2.248  43
40.23  2.242  21
47.35  1.920  17
47.54  1.913  33
49.73  1.834  11
63.83  1.458  14
73.04  1.295  15



[4]
The following is a computed XRD peak list of Li2Mg2Tl2PtAu. It was derived from a cell relaxed with GGA-PBE, using CuKα.
Neutral-atom scattering factors, no anomalous dispersion.

Structure:
a b c (Å): 4.6946 4.6946 6.6816
angles (deg): 90.00 90.00 90.00
Positions (direct):
Li: 0.0000 0.0000 0.0000
Li: 0.5000 0.5000 0.5000
Mg: 0.0000 0.5000 0.2418
Mg: 0.5000 0.0000 0.7582
Tl: 0.0000 0.5000 0.7587
Tl: 0.5000 0.0000 0.2413
Pt: 0.5000 0.5000 0.0000
Au: 0.0000 0.0000 0.5000

Principal peaks in the range 10 to 80 degrees two-theta, in order of rising 2θ:
Position (°2θ)  d_spacing  I_rel
23.16  3.841  100
38.22  2.355  76
38.35  2.347  38
45.05  2.012  18
45.27  2.003  35
55.35  1.660  13
60.61  1.528  15
69.01  1.361  13
69.26  1.357  27
74.20  1.278  8



[5]
The following is a computed XRD peak list of LiMg2ZnAu4. It was derived from a cell relaxed with GGA-PBE, using CuKα.
Neutral-atom scattering factors, no anomalous dispersion.

Structure:
a b c (Å): 4.5674 4.5674 6.4530
angles (deg): 90.00 90.00 90.00
Positions (direct):
Li: 0.0000 0.0000 0.0000
Mg: 0.0000 0.0000 0.5000
Mg: 0.5000 0.5000 0.0000
Zn: 0.5000 0.5000 0.5000
Au: 0.0000 0.5000 0.2493
Au: 0.0000 0.5000 0.7507
Au: 0.5000 0.0000 0.2493
Au: 0.5000 0.0000 0.7507

Principal peaks in the range 10 to 80 degrees two-theta, in order of rising 2θ:
Position (°2θ)  d_spacing  I_rel
13.72  6.453  1
19.43  4.567  1
27.63  3.229  65
30.96  2.888  1
34.02  2.635  1
39.47  2.283  100
48.86  1.864  19
57.05  1.614  17
64.54  1.444  26
71.59  1.318  35



[6]
The following is a computed XRD peak list of LiNbAuSe2S. It was derived from a cell relaxed with GGA-PBE, using CuKα.
Neutral-atom scattering factors, no anomalous dispersion.